Register for the 75 Hour Program Audit Track

Thank you for your interest in the 2023 Audit Track of the 75 Hour Certificate Program. Review the details and registration information below.

**The piece is interrupted by data records**
+++
*a*
A 2-piece molecular cluster, C2H6N2O overall, computed with ωB97M-V/def2-TZVPD.

The geometry in ORCA input format:
```
! wB97M-V def2-TZVPD RIJCOSX def2/J DEFGRID3
* xyz 1 2
C 1.58 -1.47 -0.37
N 1.19 -2.32 0.45
H 2.56 -1.71 -0.81
H 0.93 -0.70 -0.79
H 0.30 -2.29 0.96
C -1.14 1.41 0.73
N -1.20 1.23 -0.60
O -1.20 2.52 1.21
H -0.95 0.57 1.42
H -1.56 2.06 -1.07
H -0.52 0.70 -1.12
*
```

Calculated values
**HOMO-LUMO gap (alpha / beta)**: 7.87 / 2.98 eV
**HOMO (alpha / beta)**: -14.09 / -13.47 eV
**⟨S²⟩**: 0.762
**LUMO level (alpha / beta)**: -6.22 / -10.49 eV

---

*b*
A 2-piece molecular cluster, C2H6N2O overall, computed with ωB97M-V/def2-TZVPD.

The geometry in ORCA input format:
```
! wB97M-V def2-TZVPD RIJCOSX def2/J DEFGRID3
* xyz 1 2
O -1.74 -2.43 0.47
C -1.28 -1.75 -0.39
H -0.43 -1.07 -0.13
H -1.62 -1.96 -1.42
N 0.81 0.30 1.02
C 0.59 1.33 0.10
N 0.09 1.12 -1.04
H 1.09 0.58 1.96
H 1.43 -0.41 0.63
H 0.99 2.30 0.40
H 0.07 1.98 -1.59
*
```

Calculated values
**HOMO-LUMO gap (alpha / beta)**: 10.55 / 4.92 eV
**HOMO (alpha / beta)**: -15.65 / -14.51 eV
**⟨S²⟩**: 0.762
**LUMO level (alpha / beta)**: -5.10 / -9.58 eV

---

The computed energies, referenced to the most stable structure and given in eV, are *a* 0.713; *b* 0.000.

---

*a*
A 2-piece molecular cluster, C3H3ClFN overall, computed with ωB97M-V/def2-TZVPD.

The geometry in ORCA input format:
```
! wB97M-V def2-TZVPD RIJCOSX def2/J DEFGRID3
* xyz 0 1
C 1.81 0.76 -0.68
C -1.87 -0.59 0.18
C -0.64 -0.39 0.58
N 0.64 0.61 -1.04
F -2.80 -1.08 1.11
Cl 0.32 -0.74 1.83
H 2.46 1.59 -1.20
H 2.31 0.21 0.10
H -2.24 -0.38 -0.87
*
```

Calculated values
**HOMO-LUMO gap**: 8.16 eV
**HOMO**: -8.97 eV
**LUMO level**: -0.82 eV

---

*b*
C3H3ClFN in the gas phase, computed with ωB97M-V/def2-TZVPD.

The geometry in ORCA input format:
```
! wB97M-V def2-TZVPD RIJCOSX def2/J DEFGRID3
* xyz 0 1
C 0.30 -0.56 0.78
C 0.10 -0.06 -0.71
C -0.53 1.24 -0.38
H 1.00 0.20 1.23
H 0.68 -1.57 0.66
H -0.60 -0.52 1.40
N -1.01 2.26 -0.09
F 1.24 -0.04 -1.36
Cl -1.17 -0.96 -1.52
*
```

Calculated values
**HOMO-LUMO gap**: 12.38 eV
**HOMO**: -11.64 eV
**LUMO level**: 0.74 eV

---

The computed energies, referenced to the most stable structure and given in eV, are *a* 4.162; *b* 0.000.

---

*a*
C6H8N2OS in the gas phase, computed with ωB97M-V/def2-TZVPD.

The geometry in ORCA input format:
```
! wB97M-V def2-TZVPD RIJCOSX def2/J DEFGRID3
* xyz 0 1
C -2.11 -1.02 3.03
C -1.76 -0.97 1.72
C -0.22 -0.07 3.04
C 0.21 1.27 -1.85
C 1.13 -0.01 -1.84
C 0.41 -0.36 0.72
N -1.21 -0.40 3.84
N -0.50 -0.40 1.71
O 0.32 2.17 -0.88
S 0.21 -1.16 -0.75
H -3.04 -1.38 3.45
H -2.16 -1.60 1.01
H 0.71 0.47 3.11
H 0.39 1.72 -2.81
H -0.88 0.93 -1.87
H 1.30 -0.43 -2.82
H 2.12 0.00 -1.38
H 1.23 0.32 0.71
*
```

Calculated values
**HOMO-LUMO gap (alpha / beta)**: 8.49 / 5.45 eV
**HOMO (alpha / beta)**: -9.33 / -7.13 eV
**LUMO level (alpha / beta)**: -0.84 / -1.67 eV

---

*b*
A 2-piece molecular cluster, C6H8N2OS overall, computed with ωB97M-V/def2-TZVPD.
+++

We are honored and excited to have you participate. Your commitment to increase your training hours will only make us, collectively, better! It also helps us to support the cancer patients and survivors who come to us for help. So, thank you!

How is the Audit Track different?

By participating in this Audit program, you will get to enrich your training in Oncology Yoga with full access to the new program content and research provided in the 75 hour program. Completion of the Audit Track will provide you with a 75 hour Certificate. This will only make you a better teacher for those who come to you for help.

# Data records from another source follow
********
Molecular formula: C5H7Cl4OP
Method: DFT, ωB97M-V with the def2-TZVPD basis set

ORCA input file:
```
! RIJCOSX wB97M-V def2-TZVPD def2/J DEFGRID3
* xyz 0 1
Cl 0.00134 -4.61947 -3.61058
Cl -2.62920 -3.03403 -2.15046
Cl -0.26658 -1.52825 -3.79536
Cl 1.42143 -0.52178 -1.28798
P 0.63363 -2.93623 -2.72548
O 2.12410 -2.93401 -2.75265
C -0.19768 -3.12527 -1.07632
C -0.93221 0.86971 -0.56191
C 1.17390 1.53236 0.51673
C -1.50238 -3.18301 -0.84882
C 0.35113 0.67766 -0.36999
H 0.62847 -3.27569 -0.22798
H 0.61065 2.26674 0.87193
H -1.56259 0.27652 -1.24729
H -1.29610 1.66101 -0.07141
H 2.08658 2.03238 -0.00542
H -1.89121 -3.41557 0.10458
H 1.37257 0.90603 1.30362
*
```

Calculated values
HOMO energy, eV: -10.01
Structure (SMILES): O=P(Cl)(Cl)/C=C\Cl.C=C(C)Cl
LUMO energy, eV: 0.410
Molecular weight, g/mol: 255.896

These are the Löwdin partial charges, in e, on atoms 1 to 6: atom 1 (Cl): 0.349, atom 2 (Cl): 0.592, atom 3 (Cl): 0.338, atom 4 (Cl): 0.626, atom 5 (P): -0.200, atom 6 (O): -0.454

Molecular formula: C2HN3O2
Method: DFT, ωB97M-V with the def2-TZVPD basis set

ORCA input file:
```
! RIJCOSX wB97M-V def2-TZVPD def2/J DEFGRID3
* xyz 0 1
O -1.35885 -2.26846 0.07749
O 1.78904 1.22092 0.03368
N 3.59343 -1.35771 0.08917
N 2.59229 -0.82981 -0.11224
N -0.47482 -1.51531 0.07951
C 1.57076 -0.00937 -0.03424
C 0.09582 -0.45288 -0.24516
H -0.62727 0.35493 -0.59961
*
```

Calculated values
HOMO energy (alpha / beta), eV: -8.72 / -9.41
LUMO energy (alpha / beta), eV: -0.647 / -1.208
Molecular weight, g/mol: 99.049

These are the Löwdin partial charges, in e, on atoms 1 to 6: atom 1 (O): 0.108, atom 2 (O): 0.049, atom 3 (N): 0.256, atom 4 (N): 0.025, atom 5 (N): -0.114, atom 6 (C): -0.446

Molecular formula: C11H19Cl3MoO4S
Method: DFT, ωB97M-V with the def2-TZVPD basis set

ORCA input file:
```
! RIJCOSX wB97M-V def2-TZVPD def2/J DEFGRID3
* xyz 0 1
Mo -1.40164 -0.60937 0.34638
Cl -3.54995 0.34546 0.78400
Cl -2.50734 -2.57684 0.24321
Cl 0.24277 -1.85177 1.56622
S 2.51151 0.89053 3.43519
O 1.07909 1.17405 3.59242
O 3.35530 1.67531 4.33422
O -1.01024 0.89386 1.89940
O 2.95241 0.88792 2.03857
C 2.68077 -0.79951 4.01727
C -0.04993 -2.52208 -1.99963
C -0.06435 1.05541 -0.83503
C -1.57159 -0.40218 -1.84952
C -1.39197 0.94590 -1.36728
C 0.58225 2.30431 -0.36022
C -2.71425 -0.92185 -2.65166
C 2.04915 -0.42313 -0.88163
C -2.32429 2.09038 -1.56636
C 0.59084 -0.19571 -1.01150
C -0.35381 -1.12874 -1.57486
H 2.44038 -0.81724 5.08068
H 0.23987 -2.55092 -3.05664
H -0.17495 3.05036 -0.11755
H -3.35713 1.74936 -1.64680
H -3.51071 -0.17669 -2.69774
H 1.24616 2.71495 -1.13362
H -2.39208 -1.15870 -3.66970
H 2.55543 -0.17449 -1.82684
H -0.19626 0.76607 2.45760
H -2.06885 2.64281 -2.48021
H 1.99272 -1.43675 3.46457
H 0.77600 -2.92750 -1.40254
H -0.92145 -3.17027 -1.86257
H -2.24783 2.78070 -0.72031
H 2.26738 -1.46898 -0.65028
H 3.70860 -1.12702 3.86154
H -3.11821 -1.83401 -2.20728
H 2.46551 0.20509 -0.08276
H 1.19067 2.10127 0.53127
*
```

Calculated values
********

Participating in the Audit Track will be different than how you participated in your 55 hour Program. We highlight those differences here to manage expectations and support program success.

  • Our focus will be on the new trainees to understand, absorb, practice and demonstrate elements of the method to become safe and effective Oncology Yoga teachers, just like you! This means that program lectures, discussions and interactions will prioritize new trainees and their learning experience.
  • Allow progressive learning to happen for new trainees. Imagine yourself as the studied observer in a lecture hall, and allow our new trainees the experience of moving through this program material for the first time. Today you have tools, understanding and information that our new trainees will not yet have. Please hold space for questions, interactions and experiences that come from the new trainees.
  • Worksheets & Quizzes – Please note that completed worksheets and quizzes from your 55 hour program will not be transferred to the 75 hour program. You may decide to use the same answers again, type “N/A” into the empty fields, or you may wish to complete each worksheet again for the experience. We and the Training Mentors will not review your answers. Due to the nature of our technology, all quizzes must be completed and cannot be skipped. This creates a great opportunity to review and test your knowledge of the method.
  • Practicum and Mentor Support – As a recently certified teacher and a participant in the Audit Track, you will not be required to submit a Teaching Practicum. You will also not be provided with a Mentor, nor will you be evaluated.
  • Live Events – Participants of the Audit Track can attend most Live Events! You will not attend Live Events that involve practice, review and evaluation of the Teaching Practicum- these events are reserved for new trainees. Throughout the program, guidance and communication regarding all Live Event participation will be provided.
  • Achieving Timelines. The Audit Track provides you with full access to the Program content until December 31, 2023! Please take advantage of this exceptional opportunity to upgrade your Certificate to 75 hours. You must complete the program by December 31st, 2023 in order to receive your 75 hour Certificate. There will be no exceptions.

By registering for the Audit Track you will be accepting the normal terms and conditions of the program. Also make sure you have reviewed the details of the 2023 Certificate Program.

Deadline to register is December 31st.

Please note this is an opportunity for graduates of the 55 Hour Program ONLY. We reserve the right to refuse anyone who doesn’t achieve that requirement.

## Next to the piece, the page also holds quantum chemistry results
-- begin --
The following is a DFT calculation (ωB97M-V/def2-TZVPD) of a structure of composition C18H49N2O20S4V.

Atoms and positions in Å:
O  -8.9482  1.6637  -1.2558
V  -8.2272  1.6066  -2.6467
O  -8.0734  3.0402  -3.2952
C  -1.8301  2.3658  -0.4685
C  -1.9595  1.1073  -1.3301
C  -0.6274  0.2897  -1.2293
O  -3.2181  0.3589  -1.3245
H  -0.8296  2.6310  -0.1269
H  -2.4821  2.3333  0.4044
H  -2.2320  3.2008  -1.0424
H  -1.9566  1.4671  -2.3590
H  -0.5366  -0.2959  -0.3145
H  0.2771  0.8932  -1.1540
H  -0.5386  -0.3948  -2.0730
C  -0.2969  -7.9889  0.0446
O  0.2977  -7.1239  -0.8851
H  -0.7682  -7.4394  0.8594
H  -1.1655  -8.5434  -0.3106
H  0.4121  -8.6847  0.4932
H  1.0959  -6.8136  -0.4511
O  3.1329  -5.4168  -8.1701
S  4.5623  -5.3446  -7.9682
O  5.4189  -6.4634  -7.5337
O  5.2047  -4.7433  -9.4013
C  6.6405  -4.6282  -9.4938
C  6.9110  -3.1431  -9.4459
C  4.8825  -3.8278  -6.9783
H  6.9089  -5.0177  -10.4758
H  7.2158  -5.1179  -8.7080
H  7.7898  -2.9381  -10.0573
H  6.8803  -2.7926  -8.4143
H  6.0521  -2.5311  -9.7212
H  4.2829  -3.8375  -6.0681
H  4.4554  -3.1083  -7.6768
H  5.9314  -3.8110  -6.6823
O  9.3094  2.6972  -3.2663
S  8.5519  1.4536  -3.2521
O  7.3017  1.3111  -4.0023
O  9.5112  0.1735  -3.6864
C  10.6661  -0.0408  -2.9304
C  10.5639  -1.2758  -2.1861
C  8.0842  0.8549  -1.5437
H  10.9043  0.7877  -2.2634
H  11.5404  -0.1062  -3.5780
H  11.5281  -1.7832  -2.2175
H  9.8000  -1.9562  -2.5623
H  10.3477  -1.1417  -1.1262
H  7.7409  -0.1488  -1.7942
H  7.2793  1.3845  -1.0340
H  8.9867  0.8925  -0.9335
O  -12.1494  -2.2072  3.9393
S  -10.9843  -2.9485  4.3986
O  -9.9641  -2.2080  5.0916
O  -11.6307  -4.2292  5.2270
C  -12.7491  -4.8820  4.6196
C  -13.1565  -6.0056  5.4830
C  -10.1315  -3.8705  2.9742
H  -12.3961  -5.2788  3.6677
H  -13.5121  -4.1535  4.3452
H  -13.4393  -5.4403  6.3709
H  -12.4413  -6.7497  5.8337
H  -14.0004  -6.5795  5.1002
H  -9.8820  -4.7884  3.5064
H  -9.2117  -3.4071  2.6173
H  -10.7993  -4.1975  2.1772
O  -1.7504  9.0907  9.9684
S  -1.0084  9.3368  8.7587
O  0.1029  10.2607  8.6836
O  -0.3901  7.8064  8.2670
C  -1.0518  6.5298  8.3322
C  -1.6311  6.0830  6.9493
C  -2.2592  9.4398  7.3412
H  -1.8911  6.6149  9.0225
H  -0.6464  5.6552  8.8409
H  -1.7213  4.9975  6.9896
H  -0.9033  6.1811  6.1438
H  -2.5672  6.4648  6.5417
H  -1.8715  9.5719  6.3311
H  -2.8862  10.2852  7.6244
H  -2.8404  8.5177  7.3449
C  0.4755  -1.7880  5.3199
N  1.7214  -1.0264  5.2211
O  2.0502  -0.5517  4.1344
O  2.3423  -0.8059  6.2512
H  0.7873  -2.6648  4.7523
H  -0.2867  -1.1941  4.8156
H  0.1949  -1.9820  6.3551
C  1.3487  6.3163  -5.0825
N  0.1512  6.9185  -5.7024
O  -0.2566  6.3997  -6.7436
O  -0.4875  7.8418  -5.2095
H  1.7730  7.0891  -4.4416
H  2.1043  6.1578  -5.8519
H  1.0672  5.3461  -4.6731

Its energy above the lowest of the compared OMol25 structures with the same formula, charge and spin is 756.3 kJ/mol. The value obtained for the LUMO energy is -4.1827 eV. The calculation puts the HOMO energy at -0.25460 Ha.
-- stop --

Register for the 75 Hour Certificate Program Audit Track

Only Available to 55 Hour Program Graduates